Romanian Social Democrats have an interim team that will ensure party leadership until PSD Congress in February 2020.
Romania notifies Hungary that the so-called ”Development of Transylvania Program” should be carried out only with the...
Radio Romania News Channel (RRA) has been awarded for its coverage on evolutions in the capital market.
Departure to Albania is expected today, around 3 pm.
Romanian Minister of Defense, Nicolae-Ionel Ciucă, continues meetings with Ambassadors accredited in Bucharest.
Dăncilă receives more and more criticism from some of the party's leading representatives, after yesterday's election result.
This week’s Strasbourg plenary session of the European Parliament is marked by Wednesday's vote for the new European Commission.
8,000 book stands were put up as part of this edition.
UPDATE: 23.00 - Klaus Iohannis won on Sunday, in the second round of the presidential elections, 92.89%, and Viorica Dăncilă...
Data are valid for 19.30 hours and only for polling stations on the Romanian territory, without taking into account polling...
Official exit polls will be announced at 21:00 (Bucharest time).
The Pope has appointed Bishop Aurel Percă, auxiliary of Iaşi and titular of Mauriana, as metropolitan archbishop of...
Main topic of the official meeting was development of bilateral defense cooperation.
United States Senate has confirmed Adrian Zuckerman as the new US Ambassador to Romania.
European Parliament's Conference of Presidents is to make on Thursday the final evaluation of hearings of the 26...
Romanian Deputy Chief of Defense, Lieutenant General Daniel Petrescu, is in Brussels, to attend the EU Military Committee...
Romanian Minister of Defense, Nicolae-Ionel Ciucă, has welcomed, today, at the headquarters of the Ministry of National...
Romanian Foreign Minister, Bogdan Aurescu, has met, on Thursday, in Brussels, US Secretary of State, Mike Pompeo.
In Romania, nearly 11 thousand new cars were registered for traffic in October.
Works at the Ghencea Stadium are 65% completed and by the end of May 2020 they are supposed to be almost ready.
(MEPs) have approved the candidacy of Hungarian Olivér Várhelyi as European Commissioner for Enlargement.
A criminal case has been opened in rem for manslaughter.
Fair will be open daily from Wednesday until Sunday, between 10am and 8pm.
Investigation is under way, with legal measures to be taken, according to release from the Romanian Police.
Sibiu is the first city in Romania to enter the atmosphere of winter holidays.
European Commissioner-designate for Transport, Adina Vălean, has received on Thursday approval from European Parliament’s...
President Klaus Iohannis and PSD leader, Viorica Dăncilă will compete in the second round, which will take place on November 24.
They discussed dynamics of the Strategic Partnership between Romania and the United States.
New candidates from Romania, Hungary and France for the positions of EU Commissioners are to be heard on Thursday in the EP...
ECHR is requested to allow submission of new observations in these cases.
Ambassador González discussed possibilities of collaboration between Radio Romania and the national radio in Uruguay.
European Parliament's Committee on Legal Affairs meets on Tuesday to examine potential or actual conflict of interest of...
Iohannis got 39% of the votes, and Dăncilă some 22%.
There are 14 candidates in the firsts round of the presidential elections in Romania.
Fourteen candidates are registered in this race.
President of the European Commission has decided that MEP Adina Vălean is to take over the Transport portfolio.
New candidate is to be heard in the European Parliament’s Legal Affairs Committee (JURI) and, on November 14, in the...
Records of crystals, kept here for reference
- - -
ZrFe2BiO6: theoretical powder diffractogram (copper Kα), based on a cell relaxed with GGA+U.
No peak broadening, texture or thermal motion is included.

Structure:
Cell: 5.541 5.558 5.731 Å, 118.35 90.41 119.85°
Space group P1 (No. 1)
Inequivalent atoms, fractional coordinates:
Zr (0.000, 0.000, 0.000)
Fe (0.212, 0.425, 0.634)
Fe (0.716, 0.435, 0.146)
Bi (0.495, 0.991, 0.483)
O (0.068, 0.475, 0.322)
O (0.301, 0.245, 0.836)
O (0.404, 0.263, 0.328)
O (0.592, 0.884, 0.830)
O (0.859, 0.933, 0.330)
O (0.948, 0.543, 0.831)

Top 10 peaks for 10° ≤ 2θ ≤ 90°, by angle:
two_theta	intensity	index
19.47	35	0 1 -1
22.11	33	0 1 0
22.25	34	1 0 -1
22.41	33	1 -1 1
30.94	57	-1 1 1
31.15	56	1 0 1
31.26	55	0 1 -2
32.20	100	1 -2 1
32.32	49	2 -1 0
57.56	31	3 -3 1

----------

# DyTl2Mo3O12
Theoretical XRD peak list, CuKα. Input: the GGA+U geometry in Alexandria.
No peak broadening, texture or thermal motion is included.

```
DyTl2Mo3O12
1.0
3.7490 2.1645 6.3131
-3.7490 2.1645 6.3131
0.0000 -4.3289 6.3131
Dy Tl Mo O
1 2 3 12
Direct
0.0000 0.0000 0.0000
0.3341 0.3341 0.3341
0.6659 0.6659 0.6659
0.0000 0.0000 0.5000
0.0000 0.5000 0.0000
0.5000 0.0000 0.0000
0.0623 0.7027 0.7027
0.0780 0.0780 0.6425
0.0780 0.6425 0.0780
0.2973 0.2973 0.9377
0.2973 0.9377 0.2973
0.3575 0.9220 0.9220
0.6425 0.0780 0.0780
0.7027 0.0623 0.7027
0.7027 0.7027 0.0623
0.9220 0.3575 0.9220
0.9220 0.9220 0.3575
0.9377 0.2973 0.2973
```

Peak list (10 most intense, 5 to 70 degrees two-theta, by angle)
two_theta, Rel. int.
23.7, 29
27.7, 100
27.9, 16
28.3, 27
37.2, 24
44.2, 32
48.6, 22
49.7, 22
57.2, 20
67.8, 16

----------

Diffraction record for CsSm5S8. The X-ray powder pattern is calculated, not measured: it uses a cell relaxed with PBE and λ = 1.5418 Å (Cu Kα).
No peak broadening, texture or thermal motion is included.

The 10 most intense peaks (2θ from 10° to 90°), in order of rising 2θ:
2θ (°), d_spacing, Rel. int.
17.57, 5.046, 58
22.05, 4.031, 55
22.30, 3.986, 60
25.31, 3.520, 58
25.81, 3.451, 67
28.13, 3.172, 100
29.59, 3.019, 47
35.36, 2.538, 71
44.00, 2.058, 42
44.61, 2.031, 75

Atomic structure:
a b c (Å): 10.711 10.711 9.930
angles (deg): 104.05 104.05 22.15
Element x y z (fractional)
1 Cs 0.000 0.000 0.000
2 Sm 0.156 0.156 0.441
3 Sm 0.202 0.202 0.837
4 Sm 0.500 0.500 0.500
5 Sm 0.798 0.798 0.163
6 Sm 0.844 0.844 0.559
7 S 0.080 0.080 0.638
8 S 0.274 0.274 0.360
9 S 0.328 0.328 0.009
10 S 0.420 0.420 0.690
11 S 0.580 0.580 0.310
12 S 0.672 0.672 0.991
13 S 0.726 0.726 0.640
14 S 0.920 0.920 0.362

=====

Diffraction record for CaNd6Ho. The X-ray powder pattern is calculated, not measured: it uses a cell relaxed with PBE and λ = 1.5418 Å (Cu Kα).
No peak broadening, texture or thermal motion is included.

The 10 most intense peaks (2θ from 10° to 90°), in order of rising 2θ:
2θ (°), d_spacing, Rel. int.
19.09, 4.649, 4
29.76, 3.002, 100
34.50, 2.600, 51
49.59, 1.838, 36
58.92, 1.568, 43
61.82, 1.501, 12
72.80, 1.299, 4
80.53, 1.193, 17
83.05, 1.163, 10
83.13, 1.162, 5
- - -
Prime Minister Ludovic Orban has inaugurated, this morning, the production and maintenance capacity for the Piranha V armored...
New ministers have presented their priorities in the presence of Prime Minister Orban and President Klaus Iohannis.
Romanian Parliament meets, on Monday at 2:00 pm, in a joint session, for approval vote on the program and composition of the...
Foyer of Radio Romania Headquarters in Bucharest hosts, until 5 November, a photo exhibition titled "Afghanistan. Faces of...
On November 1, 1928, at 17:00, the Romanian Public Radio broadcasted for the first time, after the announcement "This is...
Radio Romania News Channel has received a special prize at the Award Gala of the Top National Companies in Romania.
On November 1st, Radio Romania celebrates 91 years of existence.
He will be buried today at 14:00 at the Ghencea Cemetery in Bucharest.
64 people died and nearly 200 were severely injured in the tragic event of 30 October 2015.
It is expected that this decision will be formalized through a written procedure.
The article is interrupted by records of crystals:
........
This entry pairs a crystal structure of Tb9Pr2Ho3 with its theoretical XRD peak list. Radiation: a wavelength of 1.5418 Å. Structure: a PBE-relaxed structure.

Principal peaks in the range 10° ≤ 2θ ≤ 80°, sorted by position:
- 2θ 28.12, intensity 78.3
- 2θ 29.31, intensity 34.1
- 2θ 30.27, intensity 59.0
- 2θ 31.03, intensity 86.6
- 2θ 31.95, intensity 100.0
- 2θ 32.53, intensity 98.6
- 2θ 34.38, intensity 57.1
- 2θ 34.51, intensity 72.3

Crystal structure
Unit cell a=9.7201 b=9.7201 c=6.5210 alpha=102.32 beta=102.32 gamma=54.13
Element x y z (fractional)
Tb1 0.0000 0.0000 0.0000
Tb2 0.0061 0.6658 0.1716
Tb3 0.1027 0.5743 0.6926
Tb4 0.3342 0.9939 0.8284
Tb5 0.4257 0.8973 0.3074
Tb6 0.5743 0.1027 0.6926
Tb7 0.6658 0.0061 0.1716
Tb8 0.8973 0.4257 0.3074
Tb9 0.9939 0.3342 0.8284
Pr1 0.3066 0.6934 0.5000
Pr2 0.6934 0.3066 0.5000
Ho1 0.3073 0.3073 0.2480
Ho2 0.5000 0.5000 0.0000
Ho3 0.6927 0.6927 0.7520

~~~~~

No. 1
This entry pairs a crystal structure of CaAc2Pr2 with its theoretical powder diffractogram. Radiation: Cu Kα (λ = 1.5418 Å). Structure: DFT lattice parameters and positions (PBE).
Peak positions follow from Bragg's law for the DFT cell and can differ from measured ones.

Atomic structure:
```
data_CaAc2Pr2
_chemical_formula_sum 'Ca3 Ac6 Pr6'
_cell_length_a 3.8664
_cell_length_b 3.8664
_cell_length_c 47.2280
_cell_angle_alpha 90.00
_cell_angle_beta 90.00
_cell_angle_gamma 120.00
_symmetry_space_group_name_H-M 'R -3 m'
_symmetry_Int_Tables_number 166
_symmetry_space_group_name_Hall '-R 3 2"'
loop_
_atom_site_label
_atom_site_fract_x
_atom_site_fract_y
_atom_site_fract_z
Ca1 0.0000 0.0000 0.0000
Ac1 0.0000 0.0000 0.4030
Pr1 0.0000 0.0000 0.1985
```

Top 6 peaks for 2θ = 10–90°, sorted by position:
2θ/deg	intensity	(hkl)
11.2	18.8	0 0 6
28.3	100.0	0 1 5
32.8	50.9	1 0 10
47.0	36.6	1 1 0
55.8	33.6	2 0 5
75.9	13.4	1 2 5

***

No. 2
This entry pairs a crystal structure of CaAc5Pr2 with its theoretical powder diffractogram. Radiation: Cu Kα (λ = 1.5418 Å). Structure: DFT lattice parameters and positions (PBE).
Peak positions follow from Bragg's law for the DFT cell and can differ from measured ones.

Atomic structure:
```
data_CaAc5Pr2
_chemical_formula_sum 'Ca2 Ac10 Pr4'
_cell_length_a 3.883
_cell_length_b 12.035
_cell_length_c 14.590
_cell_angle_alpha 90.00
_cell_angle_beta 90.00
_cell_angle_gamma 90.00
_symmetry_space_group_name_H-M 'I m m m'
_symmetry_Int_Tables_number 71
_symmetry_space_group_name_Hall '-I 2 2'
loop_
_atom_site_label
_atom_site_fract_x
_atom_site_fract_y
_atom_site_fract_z
Ca1 0.000 0.000 0.000
Ac1 0.000 0.234 0.367
Ac2 0.000 0.500 0.000
Pr1 0.000 0.500 0.254
```

Top 6 peaks for 2θ = 10–90°, sorted by position:
2θ/deg	intensity	(hkl)
28.0	75.9	1 2 1
28.6	100.0	0 2 4
29.4	47.1	1 0 3
29.7	43.1	0 4 0
52.1	39.7	0 6 4
55.8	31.8	2 2 4

***

No. 3
This entry pairs a crystal structure of CaAcPr2Tl4 with its theoretical powder diffractogram. Radiation: Cu Kα (λ = 1.5418 Å). Structure: DFT lattice parameters and positions (PBE).
........
Here the article continues:
A team of 30 Romanian soldiers and policemen from Covasna County will take the flag to the mountain peak.
Romania's Prime Minister designate proposes a 16-minister Cabinet, a Deputy Prime Minister and a Secretary General of the...
Future Romanian Government needs to be validated.
President of Romania, Klaus Iohannis, present at the military ceremony held at the Tomb of the Unknown Soldier in the 'Carol...
Preşedintele României a declarat că "imediat după votarea preşedinţilor celor două Camere" va face o desemnare pentru poziţia de prim-ministru.
La monumentul din fața Sălii Radio, foști și actuali angajați ai Radiodifuziunii Române, cadre militare și reprezentanții...
UPDATE: Președintele României, Klaus Iohannis, a anunțat că va susține duminică, ora 14:00, la Palatul Cotroceni, o...
Rudele eroilor Revoluției române: Uitând istoria negăm sacrificiul oamenilor acestora, negăm toate sacrificiile și toate...
== Unrelated to this entry: materials data ==
- - -
The following is a calculated X-ray diffraction stick pattern of Ti6ReOs. It was derived from a DFT-relaxed cell (PBE, Alexandria), using Cu Kα (weighted mean of Kα1 and Kα2).

Largest 12 diffraction maxima, in order of falling intensity, 10 to 90 degrees two-theta:
39.66°, I = 100; 13.30°, I = 76; 41.04°, I = 46; 73.84°, I = 30; 31.75°, I = 26; 28.70°, I = 21; 43.33°, I = 18; 71.03°, I = 16; 50.52°, I = 16; 59.43°, I = 15; 26.78°, I = 13; 49.68°, I = 11

Cell and atoms:
a b c (Å): 4.3987 4.3987 13.3144
angles (deg): 90.00 90.00 90.00
Element x y z (fractional)
1 Ti 0.0000 0.0000 0.2488
2 Ti 0.0000 0.0000 0.7512
3 Ti 0.0000 0.5000 0.1132
4 Ti 0.0000 0.5000 0.3868
5 Ti 0.0000 0.5000 0.6132
6 Ti 0.0000 0.5000 0.8868
7 Ti 0.5000 0.0000 0.1132
8 Ti 0.5000 0.0000 0.3868
9 Ti 0.5000 0.0000 0.6132
10 Ti 0.5000 0.0000 0.8868
11 Ti 0.5000 0.5000 0.2512
12 Ti 0.5000 0.5000 0.7488
13 Re 0.0000 0.0000 0.0000
14 Re 0.5000 0.5000 0.5000
15 Os 0.0000 0.0000 0.5000
16 Os 0.5000 0.5000 0.0000


The following is a calculated X-ray diffraction stick pattern of U6Re2Os. It was derived from a DFT-relaxed cell (PBE, Alexandria), using Cu Kα (weighted mean of Kα1 and Kα2).

Largest 12 diffraction maxima, in order of falling intensity, 10 to 90 degrees two-theta:
37.87°, I = 100; 38.64°, I = 96; 36.97°, I = 59; 39.21°, I = 51; 54.98°, I = 38; 66.69°, I = 19; 68.24°, I = 19; 70.18°, I = 17; 70.68°, I = 17; 70.01°, I = 13; 55.46°, I = 13; 82.86°, I = 9

Cell and atoms:
a b c (Å): 5.4777 5.4777 7.4385
angles (deg): 100.21 100.21 49.60
Element x y z (fractional)
1 U 0.0750 0.0750 0.3376
2 U 0.1666 0.1666 0.9934
3 U 0.2625 0.2625 0.6648
4 U 0.7375 0.7375 0.3352
5 U 0.8334 0.8334 0.0066
6 U 0.9250 0.9250 0.6624
7 Re 0.4145 0.4145 0.3331
8 Re 0.5855 0.5855 0.6669
9 Os 0.5000 0.5000 0.0000


The following is a calculated X-ray diffraction stick pattern of ReOsW2. It was derived from a DFT-relaxed cell (PBE, Alexandria), using Cu Kα (weighted mean of Kα1 and Kα2).

Largest 12 diffraction maxima, in order of falling intensity, 10 to 90 degrees two-theta:
39.44°, I = 100; 46.05°, I = 65; 39.25°, I = 51; 39.69°, I = 49; 45.53°, I = 33; 67.09°, I = 32; 66.46°, I = 22; 80.51°, I = 19; 80.02°, I = 13; 80.62°, I = 13; 80.90°, I = 13; 81.10°, I = 13

Cell and atoms:
a b c (Å): 9.2175 2.7887 4.8879
angles (deg): 90.00 99.79 90.00
Element x y z (fractional)
1 Re 0.0000 0.0000 0.0000
2 Re 0.5000 0.5000 0.0000
3 Os 0.0000 0.5000 0.5000
4 Os 0.5000 0.0000 0.5000
5 W 0.2463 0.0000 0.7471
6 W 0.2537 0.5000 0.2529
7 W 0.7463 0.5000 0.7471
8 W 0.7537 0.0000 0.2529


The following is a calculated X-ray diffraction stick pattern of YRe2Os. It was derived from a DFT-relaxed cell (PBE, Alexandria), using Cu Kα (weighted mean of Kα1 and Kα2).

Largest 12 diffraction maxima, in order of falling intensity, 10 to 90 degrees two-theta:
- - -
Nouă cetățeni români care se aflau pe insula afectată de ciclon, preluaţi de o aeronavă aparținând Forțelor Aeriene Franceze.
Recomandări de weekend de la corespondenții Radio România Actualități.